Input >
........
Record 1
Here is a geometry-optimized DyCl3 structure from the Materials Project. Energies are from r²SCAN.

```
DyCl3
1.0
1.893 -6.109 0.000
1.893 6.109 0.000
0.000 0.000 8.517
Dy Cl
2 6
direct
0.242 0.758 0.750
0.758 0.242 0.250
0.151 0.849 0.068
0.151 0.849 0.432
0.409 0.591 0.250
0.591 0.409 0.750
0.849 0.151 0.568
0.849 0.151 0.932
```

Record 2
Here is a geometry-optimized SmEuZn2 structure from the Materials Project. Energies are from r²SCAN.

```
SmEuZn2
1.0
0.000 3.669 3.669
3.669 0.000 3.669
3.669 3.669 0.000
Sm Eu Zn
1 1 2
direct
0.000 0.000 0.000
0.500 0.500 0.500
0.250 0.250 0.250
0.750 0.750 0.750
```

Record 3
Here is a geometry-optimized LiErAu2 structure from the Materials Project. Energies are from r²SCAN.

```
LiErAu2
1.0
0.000 3.381 3.381
3.381 0.000 3.381
3.381 3.381 0.000
Li Er Au
1 1 2
direct
0.000 0.000 0.000
0.500 0.500 0.500
0.250 0.250 0.250
0.750 0.750 0.750
```

Record 4
Here is a geometry-optimized HoPS4 structure from the Materials Project. Energies are from r²SCAN.

```
HoPS4
1.0
-5.342 5.342 9.502
5.342 -5.342 9.502
5.342 5.342 -9.502
Ho P S
8 8 32
direct
0.125 0.375 0.750
0.125 0.875 0.250
0.375 0.125 0.250
0.375 0.625 0.750
0.625 0.375 0.250
0.625 0.875 0.750
0.875 0.125 0.750
0.875 0.625 0.250
0.212 0.250 0.462
0.250 0.288 0.038
0.250 0.788 0.538
0.288 0.750 0.038
0.712 0.250 0.962
0.750 0.212 0.462
0.750 0.712 0.962
0.788 0.750 0.538
0.084 0.883 0.474
0.091 0.390 0.974
0.095 0.665 0.939
0.110 0.409 0.526
0.117 0.091 0.201
0.156 0.095 0.930
0.165 0.595 0.439
0.226 0.156 0.561
0.274 0.835 0.930
0.335 0.774 0.430
0.344 0.274 0.939
0.383 0.584 0.974
0.390 0.916 0.299
0.405 0.344 0.570
0.409 0.383 0.299
0.416 0.890 0.799
0.584 0.110 0.201
0.591 0.617 0.701
0.595 0.656 0.430
0.610 0.084 0.701
0.617 0.416 0.026
0.656 0.726 0.061
0.665 0.226 0.570
0.726 0.165 0.070
0.774 0.844 0.439
0.835 0.405 0.561
0.844 0.905 0.070
0.883 0.909 0.799
0.890 0.591 0.474
0.905 0.335 0.061
0.909 0.610 0.026
0.916 0.117 0.526
```

Record 5
Here is a geometry-optimized Pm2CuPt structure from the Materials Project. Energies are from r²SCAN.

```
Pm2CuPt
1.0
0.000 3.556 3.556
3.556 0.000 3.556
3.556 3.556 0.000
Pm Cu Pt
2 1 1
direct
0.250 0.250 0.250
0.750 0.750 0.750
0.000 0.000 0.000
0.500 0.500 0.500
```

Record 6
Here is a geometry-optimized Sc2NiRu structure from the Materials Project. Energies are from r²SCAN.

```
Sc2NiRu
1.0
2.245 1.296 3.659
-2.245 1.296 3.659
0.000 -2.592 3.659
Sc Ni Ru
2 1 1
direct
0.250 0.250 0.250
0.750 0.750 0.750
0.000 0.000 0.000
0.500 0.500 0.500
```

Asked for spin magnetization across the records above, the calculation gives 0.0; 7.2; 0.0; 0.0; 0.0; 0.0 μB per cell in order.
Asked for energy of formation from the pure elements across the records above, the calculation gives -2.528; -0.286; -0.780; -1.199; -0.698; -0.567 eV/atom in order.
........

To do >
Quote every line further above that contains the word "Here".

Result >
Here is a geometry-optimized DyCl3 structure from the Materials Project. Energies are from r²SCAN.
Here is a geometry-optimized SmEuZn2 structure from the Materials Project. Energies are from r²SCAN.
Here is a geometry-optimized LiErAu2 structure from the Materials Project. Energies are from r²SCAN.
Here is a geometry-optimized HoPS4 structure from the Materials Project. Energies are from r²SCAN.
Here is a geometry-optimized Pm2CuPt structure from the Materials Project. Energies are from r²SCAN.
Here is a geometry-optimized Sc2NiRu structure from the Materials Project. Energies are from r²SCAN.